
Was Oktoberfest 2024 erasing sparrows?

Was Oktoberfest 2024 erasing sparrows?

Attached: molecular data:
____________
C16H23ClN2O3S | ωB97M-V with the def2-TZVPD basis set

Geometry (Å):
H (-1.85648, 1.80867, -1.73482)
H (-1.60074, 4.44435, -1.22800)
S (1.28686, -3.32116, 0.13878)
N (2.34415, -2.92295, 1.33443)
H (-0.44275, -1.13176, 0.75562)
H (4.30804, -2.36378, 1.68187)
H (1.46776, -0.47713, 2.24585)
H (-4.24546, 1.55290, -1.14888)
H (-5.51474, 3.21876, -2.27286)
C (1.85793, -2.57347, 2.64691)
C (4.21995, -4.52111, 1.46649)
H (-4.88594, 2.35768, 0.27745)
Cl (0.60336, 2.33705, -2.48296)
C (3.75664, -3.11207, 1.10557)
H (3.68065, -5.23957, 0.85571)
H (-2.67977, 2.98288, 0.82756)
H (-3.81684, 5.27909, -2.48733)
O (0.04474, -3.73428, 0.72138)
C (1.76652, -1.39462, -1.78159)
H (1.62477, -0.88330, 3.95475)
C (1.02460, -1.73565, -0.66683)
C (-2.63705, 4.29718, -0.92788)
C (-0.97147, 1.36582, 0.05064)
H (5.28590, -4.62275, 1.27999)
C (1.61644, -0.13811, -2.34187)
H (3.93494, -2.93461, 0.04364)
N (-1.87594, 1.96829, -0.73964)
C (-4.84274, 3.61000, -1.51086)
H (3.06114, -0.79442, 2.93517)
H (2.38429, -3.16880, 3.40108)
H (2.44439, -2.12002, -2.20205)
H (0.80452, -2.85576, 2.66380)
C (-2.83980, 2.93145, -0.25134)
H (-2.91053, 5.09200, -0.23400)
O (-0.90485, 1.51468, 1.25371)
H (-5.39463, 4.33338, -0.90957)
H (2.19099, 0.15132, -3.20806)
H (4.02593, -4.73393, 2.51487)
C (2.01377, -1.08644, 2.96078)
C (-4.27792, 2.50249, -0.61312)
C (-0.03892, 0.42162, -0.66136)
O (1.94459, -4.18408, -0.79841)
C (0.13376, -0.84336, -0.10929)
C (0.72166, 0.76197, -1.77897)
H (-3.20430, 3.67987, -2.92146)
C (-3.60743, 4.28167, -2.10489)

Computed properties:
Energy above the lowest of the compared OMol25 structures with the same formula, charge and spin, kcal per mole: 8.7
E_LUMO, eV: 0.5
F_max, eV Å⁻¹: 1.1
HOMO level, eV: -9.2
Charge: 0
E_tot, eV: -49446.090
SMILES: CCN(CC)S(=O)(=O)c1ccc(Cl)c(C(=O)NC2CCCC2)c1
Gap between HOMO and LUMO, eV: 9.65

C6H12O | ωB97M-V with the def2-TZVPD basis set

Geometry (Å):
H (0.55198, 2.33287, -1.68743)
H (-0.77627, 0.79538, -0.26622)
C (0.09250, 2.69741, -0.76266)
H (-0.51380, 1.84748, 1.15076)
H (0.98816, -1.78620, 1.03961)
H (-0.62597, -0.40390, 2.21160)
O (1.16867, 0.91631, 0.40509)
C (1.19363, -0.32888, -0.05592)
H (-1.92687, -1.14265, 1.10382)
H (-0.95115, -1.81498, -1.37267)
C (-0.26629, -2.33263, -0.69190)
C (0.13243, -1.38650, 0.42900)
H (0.59850, -2.66280, -1.27643)
H (2.23106, -0.67843, -0.13264)
C (-0.10949, 1.53649, 0.18146)
H (-0.87448, 3.15033, -1.00819)
C (-0.87437, -0.98730, 1.32973)
H (-0.77850, -3.20926, -0.28186)
H (0.74025, 3.45728, -0.31517)

Computed properties:
Energy above the lowest of the compared OMol25 structures with the same formula, charge and spin, kcal per mole: 104.0
E_LUMO (spin up / spin down), eV: 0.8 / 0.5
F_max, eV Å⁻¹: 2.3
HOMO level (spin up / spin down), eV: -7.6 / -6.9
Charge: 0
E_tot, eV: -8459.843
Gap between HOMO and LUMO (spin up / spin down), eV: 8.34 / 7.39

C11H5AsCoF12NO5S7 | ωB97M-V with the def2-TZVPD basis set

Geometry (Å):
H (-3.77230, -2.47963, 0.54278)
C (-1.23917, -4.36554, 1.74789)
____________

How does the opening begin?

Die Zelte öffnen am Samstag is a new Uhr. If you visit a beautiful place, you can enjoy the food of the friends: With pleasant and tasty treats, you can see the gastronomy from 10.45 am to the festival day. The time has passed since the traditional celebration of the Schottenhamel festival: The Münchner Oberbürgermeister, the Dieter Reiter (SPD), was proud of the first Fass an – then it was: “O’zapft is!” The first Maß was born freely by the Bayerischen Minister President Markus Soder (CSU).

What are the opening hours?

It is one of the things that is a new Uhr, and the Wochenenden who use the German Einheit, will find a new Uhr – then a beer will be offered. The letzte Maß in the big Festzelten starts at 22:30, then the music ends, at 23:30 the music ends. If you use the Käfer-Wiesn-Schänke and Kufflers Weinzelt, this can become an Uhr-gefeiert. Driving and sales stands close at 24 o’clock.

With two songs: Dieter Reiter with traditional Fassanstich in Schottenhamel-Festzelt im Jahr 2023
With two songs: Dieter Reiter with traditional Fassanstich in Schottenhamel-Festzelt im Jahr 2023dpa

Was erwartet mich auf der Wiesn?

Rund 40 Festzelte, dazu zahlreiche Buden and Verkaufsstandde, aber auch more as 100 Schausteller and Fahrgeschäfte anyway fast 200 Marktkaufleute. While Sonntag finds one of the Trachten- und Schützenzug-statt, I am two Sonntag das Platzkonzert der Wiesnwirte voor der Bavarians.

Want to celebrate Oktoberfest?

The celebration started in 1810 with the high age of King Ludwig I. and Prince Therese von Sachsen-Hildburghausen statt. After a short period of time in the city, we were happy to celebrate with great pleasure. Roads of the large companies will focus on the Landwirtschaftliche Verein in Bayern in the following years abermals aus. 1872 Wurde es in de September vorverlegt – weg des (meistens) besseren Wetters.

-- These data records were left in the piece by mistake --
~~~
Record 1
Computed, not measured: C26H74Li2N4O15 as an isolated structure, with the ωB97M-V functional and the def2-TZVPD basis.

Structure (XYZ):
```
121
C26H74Li2N4O15 the ωB97M-V functional and the def2-TZVPD basis
Li -0.9678 0.9544 4.6003
Li -4.2597 -1.4747 0.7337
O -2.1723 -1.3136 -1.3778
C -1.0121 -1.7071 -0.7183
C -0.5072 -1.0969 0.6480
O -1.4356 -0.9634 1.7535
H -0.2296 -1.5672 -1.4641
H -1.0465 -2.7965 -0.7269
H -0.2003 -0.0879 0.3724
H 0.4345 -1.5170 1.0014
C -3.5540 -7.1805 4.0316
O -4.0183 -5.8217 4.0597
C -4.3469 -5.1695 2.8191
C -5.3783 -4.1098 3.1133
N -5.8808 -3.4881 1.8604
C -7.0014 -2.5754 2.0476
C -6.8127 -1.4406 3.1086
O -5.8066 -0.5860 2.5174
C -5.7991 0.6962 3.0733
H -4.4463 -7.7938 3.9060
H -3.0574 -7.4043 4.9757
H -2.7817 -7.3852 3.2901
H -4.7407 -5.9737 2.1976
H -3.4580 -4.6615 2.4449
H -5.0827 -3.4008 3.8866
H -6.2284 -4.6786 3.4902
H -6.0850 -4.2535 1.2337
H -7.8967 -3.1292 2.3303
H -7.1310 -2.0797 1.0856
H -6.5267 -1.8362 4.0832
H -7.7761 -0.9337 3.1625
H -5.4700 0.8119 4.1060
H -6.8102 1.1034 3.0671
H -5.1960 1.3256 2.4188
C 1.8578 -6.1557 0.2005
O 2.8115 -6.7666 -0.6486
C 4.1546 -6.7297 -0.0509
C 4.8329 -5.3827 -0.2678
N 5.1459 -5.0238 -1.6233
C 4.0020 -4.4607 -2.3692
C 4.3698 -4.2078 -3.8202
O 4.5025 -5.3482 -4.4967
C 4.7545 -5.1389 -5.8659
H 2.0728 -5.1316 0.5056
H 1.6723 -6.6964 1.1286
H 0.9771 -6.0668 -0.4355
H 4.7002 -7.4110 -0.7038
H 4.2347 -7.1045 0.9695
H 5.7657 -5.4873 0.2864
H 4.3796 -4.5672 0.2958
H 5.4678 -5.9221 -1.9544
H 3.6622 -3.5400 -1.8950
H 3.2244 -5.2242 -2.3926
H 5.1977 -3.4987 -3.8191
H 3.5459 -3.6005 -4.1950
H 3.9164 -4.7665 -6.4550
H 5.1460 -5.9955 -6.4146
H 5.6085 -4.5118 -6.1217
C -1.7612 1.5335 7.1049
O -1.8018 2.3893 6.0029
C -1.5167 3.7967 6.1827
C -1.1668 4.5574 4.8863
N -0.1676 3.8869 4.1079
C -0.2022 4.3475 2.7156
C 1.2389 4.0353 2.1175
O 2.0628 5.0260 2.7460
C 3.3596 4.9557 2.3400
H -2.6165 1.6264 7.7741
H -0.9057 1.7630 7.7403
H -1.6270 0.5275 6.7073
H -0.6867 3.9163 6.8792
H -2.4196 4.2354 6.6075
H -0.7745 5.5385 5.1541
H -2.0338 4.8974 4.3199
H 0.7039 4.2542 4.4625
H -0.3835 5.4202 2.6483
H -1.0181 3.8873 2.1584
H 1.1755 4.2665 1.0542
H 1.4690 2.9814 2.2743
H 3.9569 5.7350 2.8132
H 3.4131 5.0832 1.2588
H 3.8066 4.0317 2.7068
C 5.7331 8.6540 -2.0159
O 4.8967 7.8537 -2.8636
C 3.8514 8.5982 -3.4977
C 3.2171 7.6884 -4.5731
N 2.5481 6.5426 -4.0124
C 1.9897 5.5432 -5.0048
C 3.1757 4.7675 -5.7853
O 4.0385 3.9348 -4.9411
C 3.3900 2.8454 -4.3345
H 6.0462 9.5611 -2.5328
H 6.5693 7.9899 -1.7972
H 5.3090 8.8659 -1.0344
H 4.1284 9.5437 -3.9639
H 3.1285 8.8326 -2.7163
H 4.0432 7.4697 -5.2497
H 2.4446 8.3437 -4.9756
H 3.3446 6.1256 -3.5521
H 1.2326 5.9357 -5.6837
H 1.3594 4.7578 -4.5878
H 3.7813 5.4859 -6.3379
H 2.7508 4.1543 -6.5799
H 4.0464 2.2437 -3.7059
H 2.9850 2.2491 -5.1522
H 2.5551 2.9802 -3.6469
O -6.6206 -1.1558 -3.0011
H -6.7790 -0.6435 -3.7940
H -5.6680 -1.2369 -2.9541
O -2.0088 2.7506 -2.6149
H -2.3838 1.8737 -2.6964
H -1.1379 2.6764 -3.0052
O -1.0835 -1.2768 -5.7676
~~~

How do I get here?

The direct route to the U-Bahn station Theresienwiese (U5). It can all be so. Around the Theresienwiese are new stations, which will disappear in a few minutes. The paths to the Festwiese are painted. The direct journey by car is not possible, the street is a party for car traffic blocked – better to leave a Park-and-Ride parking lot at the city edge and drive to the meadow with the public transport. A gelände is one of the more taxi collection points.

How much does the driveway cost?

It is not that the food of the Oktoberfest at the party is free of charge. Ausnahme is the Oide Wiesn, a smaller Bereich on the southern side of the Theresienwiese. Here you will find no historical historical events and knots. If the Oidn has it, it is a tradition and tradition that we go to believe in the faith of the family. The entry costs four euros per person, children up to 14 years of age not more. Insbesonder de drive is auf der Oidn Wiesn but deutlich günstiger than auf dem restlichen Festgelände.

Was I brave enough to enjoy it?

Bags and backpacks last a volume of high liters, the masses 20 mal 15 mal 10 Zentimeter do not cross. Glass bottles that have not been used are not gas juice with dirty contents, hip, stowage or stick weapons. That is golden for Trachtenmesser. From 18 o’clock I went on Saturday and on October 3 was golden a pram ban.

Was it possible to be a man with children?

For children and families there are many opportunities and attractions in the cradle – on the playing field of the Flohzirkus or the Kasperltheater. Recommendation is a visit under the week, when a little crowd is rehearsed. Sundays are in the family family, many children and friends are underpriced for children. Lunches are used in some cases at the Sunday meadows in a licensed Offer. On the Familienplatz it is possible to receive friendly people and a Wickelraum, but we can give your Service Center a hint of the Schottenhamel Festival – this is a Stillraum.

Do I have to wear a costume?

No. It is a fact that the Tragen of the Tracht at the Oktoberfest are a more modern trend. You can see what you should. For the party on the beer bench you wear flat shoes, besides they are robust fabrics: you should go for a beer shower in the fall. If you want to use a dirndl or a type of leather, you can get it out of the air in the right way: hoses with leather or dirndl from the buttocks polyester fabrics that you can find in Bavaria as a policy.

Blasmusiker gehen vor dem Riesenrad über de Festplatz.
Blasmusiker gehen vor dem Riesenrad über de Festplatz.dpa

Who should cross the Dirndlschleife?

Manche Women make with their Dirndlschleife in their Beziehungsstatus recognizable. Tie the Trägerin – if your perspective – see left, the Single, wer right heißt vergeben. With the tragedy of Schleife we ​​hint that we are dealing with Waitresses. But: Here you do not even deal an official soul or to enlighten Brauch. Women can withdraw from their personal status in their lives, while they can flirt – and flirt on the rules of the general rules.

Which label is in Bierzelt?

Tanning on the Tischen is no longer possible – the ways of selling through the dort-abjestellten beer jug. The Schluck beer, in Bavarian Volksmund and as “Noagerl”, is the last man in Krug. Gezahlt in de Regel nicht am Ende, let it go after deleting the jewelry order. Das “Exen”, also Leertrinken eines Masskrugs, ohne ihn abzusetzen, führt in eeninigen Zelten zum Rauswurf. At all: Trinken Sie nicht zu schnell und nicht zu fell. Buy yourself a good Grundlage and essence Sie etwas!

Do I need a spare?

No stipulation. Die Wiesnwirte sind verpflichtet, part van de Tische für Gäste ohne Reservierung frei zu halten. After the week it is possible to find a place in smaller groups. Aber: Bei major changes are that they are alive – it is a matter of living or at the end of the day. Then the Eintritt nur noch met Reservierung möglich. If we remember correctly, you can join the festive festivities in the beer garden.

Wollen sich am ersten Festtag een gratis Tisch sichern: Besucher stürmen 2023 nach der Eröffnung des Geländes auf die Festwiese.
Wollen sich am ersten Festtag een gratis Tisch sichern: Besucher stürmen 2023 nach der Eröffnung des Geländes auf die Festwiese.dpa

Should I consider a reservation?

There is a reservation form available if you go directly to the website, such as the operating system on the websites. A reservation is intended for a whole beziehungsweise group of eight of these people and a combination of the Midday meal or for the Evening. You cannot reserve individual places. The reservation costs nothing, but you can buy many more scorching products – as a rule two large beers and a hen per person. The Gutscheine feeling during the Oktoberfest is a few months ago in the Gaststatten der Festwirte. Shortly before the start of the festival only a few free tables are given – all things were always among the reservations canceled. For an overview of the bets: Ready-made reservations must be returned via the portal Were there other platforms for a reservation, riskier, but not a permanent solution.

How much did the beer cost?

The price for the Maß Bier is between 13.60 and 15.30 Euro – and the price is above the mark of 15 Euro. In the meantime, you will spend between 12.60 Euro and 14.90 Euro respectively. Alcohol-free is a danger: Wasser is used for a zehn, Spezi for a double euro. The party fee is one of the costs you incur to Trinkwasserspender.

It’s so much fun. Muss da wirklich Trinkgeld signal?

It is a fact that the prices of a Trinkgeld file are one of the most common components of the power of the power. If you want to place an immediate order, it is best to charge the costs, while the rest of the day no longer continues to spend the money, if you spend money.

Do I even dare to hold the Krug?

No, the Krug is not included – we are happy here, a souvenir is a gift from Diebstahl. The money catalogue loses a geldbuße of 360 days or a Freiheitsstraf of a year long – there are more claims than more rights. Other: If Wildpinkeln is laid on the weed – 100 euros money is earned, it costs money in the zelts and in the gelände Zahlreiche toilets for the care.

The legal variant: buy the official beer mug of the Wiesnwirte
The legal variant: buy the official beer mug of the Wiesnwirtedpa

Can I pay by card?

Schwierig! Teilweise ist Kartenzahlung möglich – putt Sie sich lieber auf Barzahlung ein and haveen Sie im Vorfeld ausreichend Geld ab. Falls If you visit them, you will find more ATMs at the festival grounds.

In Welches Zeltte ich gehen?

At the end of the evening, the guests in all large Zelten sit on the couch with “Sweet Caroline” or the “Fliegerlied”. While the young party audience believed that it was the Hacker-Festzelt, the Hofbräu was the audience and was international. The Marstall-Zelt was gilded when it was generated in the Löwenbräu by the Fans of TSV 1860. In the Bräurosl-lädt of the Gay Community, the first day of Gay Sunday is a prominent place in the Käfer Wiesn-Schänke. With a bright culinary schwerpunkt presentation of the Ochsenbraterei and the Fischer-Vroni. In the Augustiner Festhalle while the beer has not been taken out of the Holzfass, it is a good idea to believe in the family.

Faith among the party crowd: the Hacker-Festzelt
Faith among the party crowd: the Hacker-Festzeltdpa

Which beer is on the Wiesn?

Specially for the Wiesn brews six Munich breweries – Augustiner, Hacker-Pschorr, Löwen, Paulaner, Spaten and the Staatliche Hofbräu – the Oktoberfest beer. It is the family of the Reinheitsgebot, the water must stem on a Tiefbrunnen, on the Munich city area lies, and the stems must lie with the spirit 13.6. The alcohol content is at the export of products. In every Festzelt es the beer comes from only a brewery. The white beer, the alcohol-free and the cold drink can vary from Zelt to Zelt.

Want to go to the Oktoberfest chicken?

No, the consumption of cannabis is not available. The Bavarian Landtag is in June a word of the folk festivals and in the beer garden beschlossen. In the Zelten it is worth to use Wirte on the Balconies or before the Zelten an eführt are.

Can I do anything else?

A number of clubs and bars call the After-Wiesn-Partys a – zum Beispiel de 089-Bar, de Milchbar, das P1 or der Wiesnclub. Obacht: Wiesngänger sind nicht überall in der Stadt willkommen, in eeninigen Localn gilded een Trachtenverbot. Thus, man will drink grim alkoholisierte Festbesucher.